Material.
Material: LuSiW2
Method: DFT, PBE
State: optimized geometry

Cell lengths 4.582, 4.582, 4.582 Å; angles 60.00, 60.00, 60.00 degrees
Positions (direct):
Lu 0.250 0.250 0.250
W 0.750 0.750 0.750
W 0.000 0.000 0.000
Si 0.500 0.500 0.500

Properties
SG: F-43m
Final energy, eV/atom: -8.802

----------

VASP calculation (PBE) on a relaxed structure of ZrRhAu2.

Lattice parameters (Å, degrees): 4.6669 4.6669 4.6669 60.00 60.00 60.00
Closest atoms and distances in Å follow each position.
Positions (direct):
Rh 0.5000 0.5000 0.5000  8 Au 2.86
Au 0.2500 0.2500 0.2500  4 Zr 2.86, 4 Rh 2.86
Au 0.7500 0.7500 0.7500  4 Zr 2.86, 4 Rh 2.86
Zr 0.0000 0.0000 0.0000  8 Au 2.86

Output
formation energy	-0.3448	eV/atom
symmetry	No. 225



VASP calculation (PBE) on a relaxed structure of ZrRhAu2.

Lattice parameters (Å, degrees): 7.6102 7.6102 6.0104 50.72 50.72 90.00
Closest atoms and distances in Å follow each position.
Positions (direct):
Rh 0.0000 0.0000 0.0000  2 Zr 2.68, 4 Au 2.71
Rh 0.7500 0.2500 0.5000  2 Zr 2.68, 4 Au 2.71
Au 0.6379 0.1250 0.2500  2 Au 2.68, 2 Rh 2.71, 2 Zr 2.84
Au 0.1121 0.6250 0.2500  2 Au 2.68, 2 Rh 2.71, 2 Zr 2.84
Au 0.3750 0.3621 0.7500  2 Au 2.68, 2 Rh 2.71, 2 Zr 2.84
Au 0.8750 0.8879 0.7500  2 Au 2.68, 2 Rh 2.71, 2 Zr 2.84
Zr 0.5000 0.5000 0.0000  2 Rh 2.68, 4 Au 2.84
Zr 0.2500 0.7500 0.5000  2 Rh 2.68, 4 Au 2.84

Output
formation energy	-0.0754	eV/atom
symmetry	No. 122



VASP calculation (PBE) on a relaxed structure of ZrRh3Au.

Lattice parameters (Å, degrees): 4.7896 4.7896 4.7896 90.00 90.00 90.00
Closest atoms and distances in Å follow each position.
Positions (direct):
Rh 0.0000 0.5000 0.0000  2 Au 2.39
Rh 0.0000 0.0000 0.5000  2 Au 2.39
Rh 0.5000 0.0000 0.0000  2 Au 2.39
Au 0.0000 0.0000 0.0000  6 Rh 2.39
Zr 0.5000 0.5000 0.5000  12 Rh 3.39

Output
formation energy	1.1957	eV/atom
ΔE to the lowest computed polymorph	260	meV/atom
symmetry	No. 221



VASP calculation (PBE) on a relaxed structure of Zr2RhAu.

Lattice parameters (Å, degrees): 5.3258 5.3258 5.3258 134.81 134.81 65.82
Closest atoms and distances in Å follow each position.
Positions (direct):
Au 0.5000 0.5000 0.0000  8 Zr 2.89-3.03, 4 Rh 3.03
Rh 0.7500 0.2500 0.5000  8 Zr 2.89-3.03, 4 Au 3.03
Zr 0.0000 0.0000 0.0000  4 Au 2.89, 4 Zr 3.03, 4 Rh 3.03
Zr 0.2500 0.7500 0.5000  4 Rh 2.89, 4 Zr 3.03, 4 Au 3.03

Output
formation energy	-0.4930	eV/atom
symmetry	No. 119



VASP calculation (PBE) on a relaxed structure of ZrRhAu2.

Lattice parameters (Å, degrees): 4.5401 3.2685 9.7061 89.99 90.00 90.00
Closest atoms and distances in Å follow each position.
Positions (direct):
Zr 0.7500 0.9998 0.6389  6 Rh 2.80-2.83, 4 Au 2.99-3.01
Zr 0.2500 0.0002 0.3611  6 Rh 2.80-2.83, 4 Au 2.99-3.01
Rh 0.2500 0.4998 0.5950  6 Zr 2.80-2.83, 2 Au 2.91, 2 Rh 2.92
Rh 0.7500 0.5002 0.4050  6 Zr 2.80-2.83, 2 Au 2.91, 2 Rh 2.92
Au 0.7500 0.4997 0.8974  8 Au 2.85-3.02, 2 Zr 2.99
Au 0.2500 0.5003 0.1026  8 Au 2.85-3.02, 2 Zr 2.99
Au 0.2500 0.9996 0.8431  6 Au 2.85-3.00, 2 Rh 2.91, 2 Zr 3.01
Au 0.7500 0.0004 0.1569  6 Au 2.85-3.00, 2 Rh 2.91, 2 Zr 3.01

Output
formation energy	-0.4869	eV/atom
symmetry	No. 51



VASP calculation (PBE) on a relaxed structure of ZrRhAu.

Lattice parameters (Å, degrees): 4.4528 4.4528 4.4528 60.00 60.00 60.00
Closest atoms and distances in Å follow each position.
Positions (direct):
Au 0.5000 0.5000 0.5000  4 Rh 2.73
Rh 0.7500 0.7500 0.7500  4 Zr 2.73, 4 Au 2.73
Zr 0.0000 0.0000 0.0000  4 Rh 2.73

Output
formation energy	-0.3418	eV/atom
ΔE to the lowest computed polymorph	316	meV/atom
symmetry	No. 216



Sequential calculated volume output: 17.968, 19.381, 21.975, 18.719, 18.004, 20.810 Å³ per atom

----------

No. 1
Material: NaAlNiSb2
Method: DFT, GGA-PBE
State: relaxed

Cell: 5.1593 5.1593 4.5503 Å, 90.00 90.00 90.00°
With the nearest neighbours (Å) after each atom.
Space group P4/mmm (No. 123)
Asymmetric unit:
Na: 0.0000 0.0000 0.0000  8 Sb 3.44, 4 Al 3.65
Al: 0.5000 0.5000 0.0000  2 Ni 2.28
Ni: 0.5000 0.5000 0.5000  2 Al 2.28

Brief.
It remains to retype the listing earlier on from the line with "0.8431" to the end without altering anything.

Done.
Au 0.2500 0.9996 0.8431  6 Au 2.85-3.00, 2 Rh 2.91, 2 Zr 3.01
Au 0.7500 0.0004 0.1569  6 Au 2.85-3.00, 2 Rh 2.91, 2 Zr 3.01

Output
formation energy	-0.4869	eV/atom
symmetry	No. 51



VASP calculation (PBE) on a relaxed structure of ZrRhAu.

Lattice parameters (Å, degrees): 4.4528 4.4528 4.4528 60.00 60.00 60.00
Closest atoms and distances in Å follow each position.
Positions (direct):
Au 0.5000 0.5000 0.5000  4 Rh 2.73
Rh 0.7500 0.7500 0.7500  4 Zr 2.73, 4 Au 2.73
Zr 0.0000 0.0000 0.0000  4 Rh 2.73

Output
formation energy	-0.3418	eV/atom
ΔE to the lowest computed polymorph	316	meV/atom
symmetry	No. 216



Sequential calculated volume output: 17.968, 19.381, 21.975, 18.719, 18.004, 20.810 Å³ per atom

----------

No. 1
Material: NaAlNiSb2
Method: DFT, GGA-PBE
State: relaxed

Cell: 5.1593 5.1593 4.5503 Å, 90.00 90.00 90.00°
With the nearest neighbours (Å) after each atom.
Space group P4/mmm (No. 123)
Asymmetric unit:
Na: 0.0000 0.0000 0.0000  8 Sb 3.44, 4 Al 3.65
Al: 0.5000 0.5000 0.0000  2 Ni 2.28
Ni: 0.5000 0.5000 0.5000  2 Al 2.28